My best advice for college graduates seeking a career in PR or Marketing is simple: become a better writer. It’s not as painful as it may sound. Of course, this doesn’t mean you need to finish your first novel before you can land a PR or Marketing gig that suits you. It doesn’t mean you need to be an accomplished writer, or proficient early in your career. As with other professional skills, writing takes time and effort to improve.
Every PR/Marketing pro is a generator, consumer and evaluator of content. No matter the form or channel, writing is the foundation of all the digital content we see and experience, and brands and businesses are turning to agencies to help them create more compelling, engaging content.I’ve found that writing often, whether in your personal or professional life, is the best way to consistently grow your writing competency. Another tip is reading about writing, which I realize sounds dreadfully boring, but give it a try—it might just unclog that writer’s block, relieve anxiety about an upcoming writing task or simply provide tips you can file away to aid in your goal of better writing.
The best news is, studying the art of writing well isn’t expensive or time consuming. Here are a few resources that have tremendous value for PR and Marketing pros as writers:
- Stephen King’s On Writing: fear not, this is no horror novel. In this short book, King doesn’t offer to make the reader the next great novelist, but outlines practical and incisive thoughts on what conditions and habits can produce better writing.
- Steven Pressfield’s Nobody Wants to Read Your Sh*t: Why That Is And What You Can Do About It: your writing needs help, and you know it. Pressfield presents advice in almost a how-to style, and the storytelling recommendations are especially useful for new or aspiring writers.
**What comes next are crystal structures, not part of the entry**
# 1
{"formula": "YIn2Tc", "functional": "SCAN", "state": "PBEsol geometry", "formation_enthalpy_0k_mev_per_atom": 183, "e_above_lowest_polymorph_mev_per_atom": 185, "cell": [[1.5950, 0.9209, 9.5898], [-1.5950, 0.9209, 9.5898], [0.0000, -1.8417, 9.5898]], "species": ["Y", "In", "In", "Tc"], "frac_coords": [[0.0000, 0.0000, 0.0000], [0.2393, 0.2393, 0.2393], [0.7607, 0.7607, 0.7607], [0.5000, 0.5000, 0.5000]]}

---

# 2
{"formula": "YInTc", "functional": "SCAN", "state": "PBEsol geometry", "formation_enthalpy_0k_mev_per_atom": 264, "cell": [[0.0000, 3.2611, 3.2611], [3.2611, 0.0000, 3.2611], [3.2611, 3.2611, 0.0000]], "species": ["Y", "In", "Tc"], "frac_coords": [[0.0000, 0.0000, 0.0000], [0.5000, 0.5000, 0.5000], [0.2500, 0.2500, 0.2500]]}

---

# 3
{"formula": "Y2InTc", "functional": "SCAN", "state": "PBEsol geometry", "formation_enthalpy_0k_mev_per_atom": -158, "cell": [[-1.7545, 2.4630, 5.2553], [1.7545, -2.4630, 5.2553], [1.7545, 2.4630, -5.2553]], "species": ["Y", "Y", "In", "Tc"], "frac_coords": [[0.0000, 0.0000, 0.0000], [0.7087, 0.2087, 0.5000], [0.4250, 0.4250, 0.0000], [0.2225, 0.7225, 0.5000]]}

=====

The following is a GGA-PBEsol calculation of a geometry-optimized BeAlTl2 structure, from Alexandria.

Structure (CIF):
```
data_BeAlTl2
_chemical_formula_sum 'Be2 Al2 Tl4'
_symmetry_space_group_name_H-M 'I 4/m m m'
_symmetry_Int_Tables_number 139
_symmetry_space_group_name_Hall '-I 4 2'
_cell_length_a 4.560
_cell_length_b 4.560
_cell_length_c 7.961
_cell_angle_alpha 90.00
_cell_angle_beta 90.00
_cell_angle_gamma 90.00
loop_
_atom_site_label
_atom_site_type_symbol
_atom_site_fract_x
_atom_site_fract_y
_atom_site_fract_z
_atom_site_occupancy
Be1 Be 0.000 0.000 0.000 1
Al1 Al 0.000 0.000 0.500 1
Tl1 Tl 0.000 0.500 0.250 1
```

Energy of formation = 575 meV per atom

=====

[1]
# GaSb2TeW

A geometry-optimized GaSb2TeW structure (PBE-GGA, Alexandria via LeMat-Bulk).

Unit cell a=5.1550 b=5.1550 c=5.2747 alpha=90.00 beta=90.00 gamma=90.00
Fractional coordinates of all 5 atoms:
Ga 0.0000 0.0000 0.0000
W 0.5000 0.5000 0.5000
Te 0.0000 0.0000 0.5000
Sb 0.0000 0.5000 0.0000
Sb 0.5000 0.0000 0.0000

Density of states at the Fermi level = 0.685 states/eV per atom
Energy relative to the elements, uncorrected = 702 kJ/mol of formula units
Mass density = 7.400 Mg/m³

***

[2]
# ZnNi3Sn

A geometry-optimized ZnNi3Sn structure (PBE-GGA, Alexandria via LeMat-Bulk).

Unit cell a=4.5882 b=6.0272 c=6.0272 alpha=120.00 beta=90.00 gamma=90.00
Fractional coordinates of all 10 atoms:
Ni 0.7500 0.1995 0.3987
Ni 0.7500 0.1994 0.8006
Ni 0.2500 0.3987 0.1995
Ni 0.7500 0.6013 0.8005
Ni 0.2500 0.8006 0.1994
Ni 0.2500 0.8005 0.6013
Zn 0.0000 0.0000 0.0000
Zn 0.5000 0.0000 0.0000
Sn 0.2500 0.3335 0.6665
Sn 0.7500 0.6665 0.3335

Density of states at the Fermi level = 0.593 states/eV per atom
Energy of formation from the pure elements = 0.098 eV per atom
Mass density = 8.287 Mg/m³

***

[3]
# Nd2Al3Zn4Au
- Advertising genius David Ogilvy wrote to staffers at his firm in 1986 with prescient advice that holds up today: “use short words, short sentences and short paragraphs”, and “if it is something important, get a colleague to improve it.” Read here for the rest of his top 10 tips.
Crystal structures, as found in the file:
┌──
(1)
Here is crystalline LiCuAg2 at its relaxed geometry from the Alexandria database. Energies are from GGA-PBEsol.

a b c (Å): 3.7833 3.7833 8.0667
angles (deg): 90.00 90.00 90.00
Space group I-4m2 (No. 119)
Inequivalent atoms, fractional coordinates:
1 Li 0.0000 0.0000 0.0000 x2
2 Cu 0.0000 0.5000 0.7500 x2
3 Ag 0.0000 0.0000 0.5000 x2
4 Ag 0.0000 0.5000 0.2500 x2

calculated formation energy = -1.3 kcal/mol of atoms



(2)
Here is crystalline K2BeZnSb at its relaxed geometry from the Alexandria database. Energies are from GGA-PBEsol.

a b c (Å): 6.6638 6.6638 5.1181
angles (deg): 90.00 90.00 90.00
Space group P4/mmm (No. 123)
Inequivalent atoms, fractional coordinates:
1 K 0.0000 0.5000 0.0000 x2
2 Be 0.0000 0.0000 0.5000 x1
3 Zn 0.5000 0.5000 0.5000 x1
4 Sb 0.5000 0.5000 0.0000 x1

formation energy (no corrections) = 3.07 eV per formula unit



(3)
Here is crystalline K5Al at its relaxed geometry from the Alexandria database. Energies are from GGA-PBEsol.

a b c (Å): 10.8914 10.8914 10.8914
angles (deg): 90.00 90.00 90.00
Space group F-43m (No. 216)
Inequivalent atoms, fractional coordinates:
1 K 0.0000 0.0000 0.0000 x4
2 K 0.1233 0.1233 0.3767 x16
3 Al 0.2500 0.2500 0.7500 x4

calculated formation energy = 8.8 kcal/mol of atoms
relative energy among the computed polymorphs = 0.176 eV per atom



(4)
Here is crystalline HfZr2Ta at its relaxed geometry from the Alexandria database. Energies are from GGA-PBEsol.

a b c (Å): 6.8814 6.8814 6.8814
angles (deg): 90.00 90.00 90.00
Space group Fm-3m (No. 225)
Inequivalent atoms, fractional coordinates:
1 Hf 0.0000 0.0000 0.0000 x4
2 Zr 0.2500 0.2500 0.2500 x8
3 Ta 0.0000 0.0000 0.5000 x4

calculated formation energy = 3.6 kcal/mol of atoms



(5)
Here is crystalline CdMoAs2 at its relaxed geometry from the Alexandria database. Energies are from GGA-PBEsol.

a b c (Å): 3.1919 3.5852 13.1958
angles (deg): 90.00 90.00 90.00
Space group Imm2 (No. 44)
Inequivalent atoms, fractional coordinates:
1 Cd 0.0000 0.0000 0.0000 x2
2 Mo 0.0000 0.5000 0.7339 x2
3 As 0.0000 0.0000 0.3802 x2
4 As 0.0000 0.5000 0.1656 x2

calculated formation energy = 1.2 kcal/mol of atoms



(6)
Here is crystalline Ir7W at its relaxed geometry from the Alexandria database. Energies are from GGA-PBEsol.

a b c (Å): 7.6849 7.6849 7.6849
angles (deg): 90.00 90.00 90.00
Space group Fm-3m (No. 225)
Inequivalent atoms, fractional coordinates:
1 Ir 0.0000 0.0000 0.0000 x4
2 Ir 0.0000 0.2500 0.2500 x24
3 W 0.0000 0.0000 0.5000 x4

calculated formation energy = -3.3 kcal/mol of atoms



Going through the records in order, we get theoretical density values of 8.2; 2.0; 1.1; 11.0; 7.9; 22.4 g/cm3.
Going through the records in order, we get total energy values of -3.29; -1.87; -1.25; -10.15; -5.74; -10.47 eV per atom.
└──
- The same subject was featured in collected tips in an article in The New York Times. It’s worth a read to discover the perils of zombie nouns, and why punctuation is as important as the words you choose to use.
- Finally, if in your undergraduate classes you weren’t assigned to read the classic On Writing Well by William Zinsser, it’s worthwhile to purchase your own copy, and keep it with you. It can serve you well at every stage of your career. The book is filled with the type of advice that can benefit PR pros in a fast-paced, always-on lifestyle. My favorites—avoid jargon and clichés, and hook your reader with the first sentence.
If you want more PR tips, check out our blog page.